Contents.
~~~
Record 1
Molecular formula: C2H6NO3P
Method: DFT, the ωB97M-V functional and the def2-TZVPD basis

The geometry in XYZ format:
```
13
Properties=species:S:1:pos:R:3:mulliken_charge:R:1
C -1.3541 -1.4016 -0.0664 -0.836
C 1.1290 1.6644 -0.1032 -1.006
N -0.9057 -0.1043 -0.1718 0.399
O 1.0096 -0.4785 1.5245 -0.622
O -1.5027 0.8229 0.4647 -0.315
O 1.2908 -1.0637 -0.9846 -0.683
P 0.9903 -0.1580 0.0772 0.929
H -2.2792 -1.3836 0.3309 0.435
H -0.6623 -2.0696 0.4228 0.333
H -1.2183 -1.8382 -1.1350 0.306
H 0.9746 1.9322 -1.0705 0.381
H 0.3882 2.0750 0.5141 0.349
H 2.1399 2.0030 0.1974 0.329
```

* HOMO energy (alpha / beta): -10.63 / -10.63 eV

=====

Record 2
Molecular formula: C32H30CdN5SSe
Method: DFT, the ωB97M-V functional and the def2-TZVPD basis

The geometry in XYZ format:
```
70
Properties=species:S:1:pos:R:3:mulliken_charge:R:1
Cd -0.7681 -0.9042 0.2094 1.297
C 0.6594 -3.2045 -1.6661 -0.644
C -0.6782 -2.8763 -1.2733 -0.827
C -1.2232 -2.0623 -2.3174 -0.977
C -0.2439 -1.8807 -3.2880 -0.310
C 0.9181 -2.5931 -2.8880 -0.665
H 1.3437 -3.8434 -1.1235 0.373
H -1.2840 -3.4504 -0.5799 0.873
H -2.2452 -1.7122 -2.3571 0.500
H -0.3421 -1.2859 -4.1867 0.462
H 1.8514 -2.6390 -3.4353 0.444
C 3.0873 1.0266 1.4144 -1.585
C 1.9499 0.0937 1.7029 0.939
N 0.7618 0.4879 1.9393 -0.277
N 0.5183 1.8114 1.7995 0.025
C -0.6920 2.3303 2.1888 -0.015
N -0.8766 3.5924 1.6910 -0.414
S -1.7647 1.5837 3.1856 -0.295
C 2.1261 -1.3904 1.7353 0.229
C 3.3290 -2.0176 2.0200 -0.952
C 3.3548 -3.4023 2.1024 -0.460
C 2.1910 -4.1185 1.8809 -1.125
C 1.0417 -3.4116 1.5561 -0.532
N 1.0196 -2.0863 1.4880 0.698
H 3.1182 1.8258 2.1590 0.363
H 4.0479 0.5174 1.4116 0.407
H 2.9586 1.4807 0.4230 0.306
H 1.0841 2.3419 1.1473 0.256
H -0.4230 3.8242 0.8178 0.223
H -1.8245 3.9184 1.7815 0.308
H 4.2255 -1.4420 2.2056 0.366
H 4.2786 -3.9149 2.3403 0.406
H 2.1691 -5.1979 1.9393 0.447
H 0.1134 -3.9199 1.3284 0.574
Se -3.3553 -1.3647 0.8883 -0.320
C -3.1485 -2.7011 2.2140 0.124
C -2.0023 -2.8179 3.0072 -0.377
C -1.9251 -3.8171 3.9631 -0.418
N -2.8872 -4.7117 4.2027 -0.662
C -3.9827 -4.5926 3.4477 -0.300
C -4.1605 -3.6320 2.4667 -0.409
H -1.1857 -2.1155 2.8903 0.526
H -1.0351 -3.9017 4.5811 0.382
H -4.7679 -5.3189 3.6381 0.323
H -5.0762 -3.6017 1.8898 0.348
C -2.1766 5.0867 -3.6371 -0.422
C -2.8704 5.0217 -2.4369 -0.630
C -2.6781 3.9468 -1.5792 -0.399
C -1.7832 2.9223 -1.8910 0.337
C -1.1127 2.9879 -3.1150 0.023
C -1.3006 4.0602 -3.9730 -0.704
C -1.6052 1.7835 -0.9540 -0.180
C -0.4893 1.0891 -0.6966 -1.643
C 0.8665 1.4890 -1.1243 1.877
C 1.3290 2.8075 -0.9998 -0.348
C 2.6436 3.1479 -1.2912 -0.778
C 3.5347 2.1807 -1.7455 -0.787
C 3.0881 0.8718 -1.8902 -0.645
C 1.7856 0.5265 -1.5577 -0.031
H -2.3286 5.9189 -4.3132 0.372
H -3.5698 5.8057 -2.1720 0.373
H -3.2253 3.8971 -0.6435 0.409
H -0.4513 2.1749 -3.3907 0.425
H -0.7675 4.0906 -4.9158 0.389
H -2.5209 1.4913 -0.4401 0.351
H 0.6254 3.5807 -0.7057 0.186
H 2.9690 4.1763 -1.1816 0.409
H 4.5609 2.4413 -1.9739 0.346
H 3.7650 0.1029 -2.2448 0.473
H 1.4561 -0.5071 -1.6682 -0.039
```

* net charge: -1
* HOMO energy: -4.18 eV

=====

Record 3
Molecular formula: C5H11IN
Method: DFT, the ωB97M-V functional and the def2-TZVPD basis

The geometry in XYZ format:
```
18
Properties=species:S:1:pos:R:3:mulliken_charge:R:1
C 0.8918 -1.6117 0.0816 -0.727
C -0.5850 -1.4149 -0.2562 -0.555
C 0.3925 -0.2957 -0.2196 0.274
C -1.5365 1.3893 1.0436 -0.808
C 0.2926 0.7070 0.8777 -0.750
N 0.7587 0.3324 -1.5634 0.025
I 1.8365 2.2445 0.8955 0.212
H 1.1354 -1.8011 1.1497 0.233
H 1.5396 -2.0740 -0.6554 0.233
H -0.9640 -1.6380 -1.2841 0.225
H -1.2679 -1.5544 0.4689 0.307
H -1.4508 2.4162 1.3556 0.365
H -1.9377 0.7967 1.7637 0.341
H -1.9311 1.3100 -0.0144 0.269
H 0.4078 -0.0256 1.7048 0.367
H -0.1204 0.7277 -2.0353 0.406
H 1.1625 -0.4829 -2.1723 0.415
H 1.3761 0.9747 -1.1403 0.169
```

* net charge: +1
* HOMO energy (alpha / beta): -9.36 / -13.92 eV
* spin multiplicity: 3
* <S²>: 2.01

=====

Record 4
Molecular formula: C6H12O
~~~

What to do.
Next, return all of the lines further above verbatim.

Written answer.
Record 1
Molecular formula: C2H6NO3P
Method: DFT, the ωB97M-V functional and the def2-TZVPD basis

The geometry in XYZ format:
```
13
Properties=species:S:1:pos:R:3:mulliken_charge:R:1
C -1.3541 -1.4016 -0.0664 -0.836
C 1.1290 1.6644 -0.1032 -1.006
N -0.9057 -0.1043 -0.1718 0.399
O 1.0096 -0.4785 1.5245 -0.622
O -1.5027 0.8229 0.4647 -0.315
O 1.2908 -1.0637 -0.9846 -0.683
P 0.9903 -0.1580 0.0772 0.929
H -2.2792 -1.3836 0.3309 0.435
H -0.6623 -2.0696 0.4228 0.333
H -1.2183 -1.8382 -1.1350 0.306
H 0.9746 1.9322 -1.0705 0.381
H 0.3882 2.0750 0.5141 0.349
H 2.1399 2.0030 0.1974 0.329
```

* HOMO energy (alpha / beta): -10.63 / -10.63 eV

=====

Record 2
Molecular formula: C32H30CdN5SSe
Method: DFT, the ωB97M-V functional and the def2-TZVPD basis

The geometry in XYZ format:
```
70
Properties=species:S:1:pos:R:3:mulliken_charge:R:1
Cd -0.7681 -0.9042 0.2094 1.297
C 0.6594 -3.2045 -1.6661 -0.644
C -0.6782 -2.8763 -1.2733 -0.827
C -1.2232 -2.0623 -2.3174 -0.977
C -0.2439 -1.8807 -3.2880 -0.310
C 0.9181 -2.5931 -2.8880 -0.665
H 1.3437 -3.8434 -1.1235 0.373
H -1.2840 -3.4504 -0.5799 0.873
H -2.2452 -1.7122 -2.3571 0.500
H -0.3421 -1.2859 -4.1867 0.462
H 1.8514 -2.6390 -3.4353 0.444
C 3.0873 1.0266 1.4144 -1.585
C 1.9499 0.0937 1.7029 0.939
N 0.7618 0.4879 1.9393 -0.277
N 0.5183 1.8114 1.7995 0.025
C -0.6920 2.3303 2.1888 -0.015
N -0.8766 3.5924 1.6910 -0.414
S -1.7647 1.5837 3.1856 -0.295
C 2.1261 -1.3904 1.7353 0.229
C 3.3290 -2.0176 2.0200 -0.952
C 3.3548 -3.4023 2.1024 -0.460
C 2.1910 -4.1185 1.8809 -1.125
C 1.0417 -3.4116 1.5561 -0.532
N 1.0196 -2.0863 1.4880 0.698
H 3.1182 1.8258 2.1590 0.363
H 4.0479 0.5174 1.4116 0.407
H 2.9586 1.4807 0.4230 0.306
H 1.0841 2.3419 1.1473 0.256
H -0.4230 3.8242 0.8178 0.223
H -1.8245 3.9184 1.7815 0.308
H 4.2255 -1.4420 2.2056 0.366
H 4.2786 -3.9149 2.3403 0.406
H 2.1691 -5.1979 1.9393 0.447
H 0.1134 -3.9199 1.3284 0.574
Se -3.3553 -1.3647 0.8883 -0.320
C -3.1485 -2.7011 2.2140 0.124
C -2.0023 -2.8179 3.0072 -0.377
C -1.9251 -3.8171 3.9631 -0.418
N -2.8872 -4.7117 4.2027 -0.662
C -3.9827 -4.5926 3.4477 -0.300
C -4.1605 -3.6320 2.4667 -0.409
H -1.1857 -2.1155 2.8903 0.526
H -1.0351 -3.9017 4.5811 0.382
H -4.7679 -5.3189 3.6381 0.323
H -5.0762 -3.6017 1.8898 0.348
C -2.1766 5.0867 -3.6371 -0.422
C -2.8704 5.0217 -2.4369 -0.630
C -2.6781 3.9468 -1.5792 -0.399
C -1.7832 2.9223 -1.8910 0.337
C -1.1127 2.9879 -3.1150 0.023
C -1.3006 4.0602 -3.9730 -0.704
C -1.6052 1.7835 -0.9540 -0.180
C -0.4893 1.0891 -0.6966 -1.643
C 0.8665 1.4890 -1.1243 1.877
C 1.3290 2.8075 -0.9998 -0.348
C 2.6436 3.1479 -1.2912 -0.778
C 3.5347 2.1807 -1.7455 -0.787
C 3.0881 0.8718 -1.8902 -0.645
C 1.7856 0.5265 -1.5577 -0.031
H -2.3286 5.9189 -4.3132 0.372
H -3.5698 5.8057 -2.1720 0.373
H -3.2253 3.8971 -0.6435 0.409
H -0.4513 2.1749 -3.3907 0.425
H -0.7675 4.0906 -4.9158 0.389
H -2.5209 1.4913 -0.4401 0.351
H 0.6254 3.5807 -0.7057 0.186
H 2.9690 4.1763 -1.1816 0.409
H 4.5609 2.4413 -1.9739 0.346
H 3.7650 0.1029 -2.2448 0.473
H 1.4561 -0.5071 -1.6682 -0.039
```

* net charge: -1
* HOMO energy: -4.18 eV

=====

Record 3
Molecular formula: C5H11IN
Method: DFT, the ωB97M-V functional and the def2-TZVPD basis

The geometry in XYZ format:
```
18
Properties=species:S:1:pos:R:3:mulliken_charge:R:1
C 0.8918 -1.6117 0.0816 -0.727
C -0.5850 -1.4149 -0.2562 -0.555
C 0.3925 -0.2957 -0.2196 0.274
C -1.5365 1.3893 1.0436 -0.808
C 0.2926 0.7070 0.8777 -0.750
N 0.7587 0.3324 -1.5634 0.025
I 1.8365 2.2445 0.8955 0.212
H 1.1354 -1.8011 1.1497 0.233
H 1.5396 -2.0740 -0.6554 0.233
H -0.9640 -1.6380 -1.2841 0.225
H -1.2679 -1.5544 0.4689 0.307
H -1.4508 2.4162 1.3556 0.365
H -1.9377 0.7967 1.7637 0.341
H -1.9311 1.3100 -0.0144 0.269
H 0.4078 -0.0256 1.7048 0.367
H -0.1204 0.7277 -2.0353 0.406
H 1.1625 -0.4829 -2.1723 0.415
H 1.3761 0.9747 -1.1403 0.169
```

* net charge: +1
* HOMO energy (alpha / beta): -9.36 / -13.92 eV
* spin multiplicity: 3
* <S²>: 2.01

=====

Record 4
Molecular formula: C6H12O